Source =
____________
Material: NaBeTePb2
Method: DFT, GGA-PBE
State: relaxed

Results
- formation energy (no corrections) (meV per atom) = 155
- symmetry = No. 123
- V (Å³/f.u.) = 139
- magnetic moment (Bohr magnetons per cell) = 0.00

Cell: 5.0148 5.5261 5.0148 Å, 90.00 90.00 90.00°
Sites, in units of the cell vectors:
Te  0.5000  0.5000  0.5000
Be  0.0000  0.0000  0.0000
Pb  0.0000  0.0000  0.5000
Pb  0.5000  0.0000  0.0000
Na  0.0000  0.5000  0.0000

* * * * *

No. 1
This record from Alexandria via LeMat-Bulk describes a relaxed structure of Tb3Dy3Tm4. The functional is GGA-PBE.

abc: 3.6320 9.2931 9.2931
angles: 89.98 90.00 90.00
Sites, in units of the cell vectors:
Tb1 0.0000 0.0000 0.0000
Tb2 0.0000 0.5000 0.8469
Tb3 0.0000 0.8469 0.5000
Dy1 0.0000 0.3468 0.3468
Dy2 0.5000 0.1737 0.6727
Dy3 0.5000 0.6727 0.1737
Tm1 0.5000 0.0491 0.2981
Tm2 0.5000 0.2981 0.0491
Tm3 0.5000 0.5487 0.5487
Tm4 0.5000 0.7980 0.7980

Results
Crystal system ... orthorhombic
E_tot ... -4.468 eV/atom

***

No. 2
This record from Alexandria via LeMat-Bulk describes a relaxed structure of Tb2Dy5Tm5. The functional is GGA-PBE.

abc: 7.8559 7.8559 11.1143
angles: 115.08 115.08 36.89
Sites, in units of the cell vectors:
Tb1 0.0831 0.0831 0.2504
Tb2 0.9169 0.9169 0.7496
Dy1 0.0000 0.0000 0.5000
Dy2 0.1661 0.1661 0.9995
Dy3 0.2491 0.2491 0.7488
Dy4 0.7509 0.7509 0.2512
Dy5 0.8339 0.8339 0.0005
Tm1 0.3330 0.3330 0.4996
Tm2 0.4167 0.4167 0.2502
Tm3 0.5000 0.5000 0.0000
Tm4 0.5833 0.5833 0.7498
Tm5 0.6670 0.6670 0.5004

Results
Crystal system ... monoclinic
E_tot ... -4.532 eV/atom

***

No. 3
This record from Alexandria via LeMat-Bulk describes a relaxed structure of Tb2Dy3Tm6. The functional is GGA-PBE.

abc: 16.7411 16.7411 16.7411
angles: 163.97 163.97 22.74
Sites, in units of the cell vectors:
Tb1 0.0462 0.0462 0.0000
Tb2 0.9538 0.9538 0.0000
Dy1 0.2985 0.2985 0.0000
Dy2 0.5000 0.5000 0.0000
Dy3 0.7015 0.7015 0.0000
Tm1 0.1218 0.6218 0.5000
Tm2 0.1950 0.1950 0.0000
Tm3 0.3782 0.8782 0.5000
Tm4 0.6218 0.1218 0.5000
Tm5 0.8050 0.8050 0.0000
Tm6 0.8782 0.3782 0.5000

Results
Excess energy over the best structure of this formula in the dataset ... 261 meV per atom
Crystal system ... tetragonal

***

No. 4
This record from Alexandria via LeMat-Bulk describes a relaxed structure of Tb4DyTm6. The functional is GGA-PBE.

abc: 9.5904 9.5904 9.5904
angles: 140.34 140.34 57.34
Sites, in units of the cell vectors:
Tb1 0.0135 0.6388 0.0000
Tb2 0.3612 0.3612 0.3747
Tb3 0.6388 0.0135 0.0000
Tb4 0.9865 0.9865 0.6253
Dy1 0.0000 0.0000 0.0000
Tm1 0.0000 0.5000 0.5000
Tm2 0.1916 0.1916 0.6419
Tm3 0.4503 0.8084 0.0000
Tm4 0.5000 0.0000 0.5000
Tm5 0.5497 0.5497 0.3581
Tm6 0.8084 0.4503 0.0000

Results
Excess energy over the best structure of this formula in the dataset ... 0 meV per atom
Crystal system ... tetragonal
____________

Activity =
Now restate all of the data earlier on verbatim.

Solution =
Material: NaBeTePb2
Method: DFT, GGA-PBE
State: relaxed

Results
- formation energy (no corrections) (meV per atom) = 155
- symmetry = No. 123
- V (Å³/f.u.) = 139
- magnetic moment (Bohr magnetons per cell) = 0.00

Cell: 5.0148 5.5261 5.0148 Å, 90.00 90.00 90.00°
Sites, in units of the cell vectors:
Te  0.5000  0.5000  0.5000
Be  0.0000  0.0000  0.0000
Pb  0.0000  0.0000  0.5000
Pb  0.5000  0.0000  0.0000
Na  0.0000  0.5000  0.0000

* * * * *

No. 1
This record from Alexandria via LeMat-Bulk describes a relaxed structure of Tb3Dy3Tm4. The functional is GGA-PBE.

abc: 3.6320 9.2931 9.2931
angles: 89.98 90.00 90.00
Sites, in units of the cell vectors:
Tb1 0.0000 0.0000 0.0000
Tb2 0.0000 0.5000 0.8469
Tb3 0.0000 0.8469 0.5000
Dy1 0.0000 0.3468 0.3468
Dy2 0.5000 0.1737 0.6727
Dy3 0.5000 0.6727 0.1737
Tm1 0.5000 0.0491 0.2981
Tm2 0.5000 0.2981 0.0491
Tm3 0.5000 0.5487 0.5487
Tm4 0.5000 0.7980 0.7980

Results
Crystal system ... orthorhombic
E_tot ... -4.468 eV/atom

***

No. 2
This record from Alexandria via LeMat-Bulk describes a relaxed structure of Tb2Dy5Tm5. The functional is GGA-PBE.

abc: 7.8559 7.8559 11.1143
angles: 115.08 115.08 36.89
Sites, in units of the cell vectors:
Tb1 0.0831 0.0831 0.2504
Tb2 0.9169 0.9169 0.7496
Dy1 0.0000 0.0000 0.5000
Dy2 0.1661 0.1661 0.9995
Dy3 0.2491 0.2491 0.7488
Dy4 0.7509 0.7509 0.2512
Dy5 0.8339 0.8339 0.0005
Tm1 0.3330 0.3330 0.4996
Tm2 0.4167 0.4167 0.2502
Tm3 0.5000 0.5000 0.0000
Tm4 0.5833 0.5833 0.7498
Tm5 0.6670 0.6670 0.5004

Results
Crystal system ... monoclinic
E_tot ... -4.532 eV/atom

***

No. 3
This record from Alexandria via LeMat-Bulk describes a relaxed structure of Tb2Dy3Tm6. The functional is GGA-PBE.

abc: 16.7411 16.7411 16.7411
angles: 163.97 163.97 22.74
Sites, in units of the cell vectors:
Tb1 0.0462 0.0462 0.0000
Tb2 0.9538 0.9538 0.0000
Dy1 0.2985 0.2985 0.0000
Dy2 0.5000 0.5000 0.0000
Dy3 0.7015 0.7015 0.0000
Tm1 0.1218 0.6218 0.5000
Tm2 0.1950 0.1950 0.0000
Tm3 0.3782 0.8782 0.5000
Tm4 0.6218 0.1218 0.5000
Tm5 0.8050 0.8050 0.0000
Tm6 0.8782 0.3782 0.5000

Results
Excess energy over the best structure of this formula in the dataset ... 261 meV per atom
Crystal system ... tetragonal

***

No. 4
This record from Alexandria via LeMat-Bulk describes a relaxed structure of Tb4DyTm6. The functional is GGA-PBE.

abc: 9.5904 9.5904 9.5904
angles: 140.34 140.34 57.34
Sites, in units of the cell vectors:
Tb1 0.0135 0.6388 0.0000
Tb2 0.3612 0.3612 0.3747
Tb3 0.6388 0.0135 0.0000
Tb4 0.9865 0.9865 0.6253
Dy1 0.0000 0.0000 0.0000
Tm1 0.0000 0.5000 0.5000
Tm2 0.1916 0.1916 0.6419
Tm3 0.4503 0.8084 0.0000
Tm4 0.5000 0.0000 0.5000
Tm5 0.5497 0.5497 0.3581
Tm6 0.8084 0.4503 0.0000

Results
Excess energy over the best structure of this formula in the dataset ... 0 meV per atom
Crystal system ... tetragonal